_Listing_
Diffraction record for RbYMnWO6. The PXRD pattern is simulated, not measured: it uses a cell relaxed with PBE+U and Cu Kα.
Intensities are scaled so that the largest is 100.

Atomic structure:
```
RbYMnWO6
1.0
5.430 0.000 0.000
0.000 5.622 0.000
-0.518 0.000 9.787
Rb Y Mn W O
2 2 2 2 12
Cartesian
1.256 0.000 0.120
3.655 2.811 9.667
1.206 0.273 4.904
3.706 3.084 4.883
1.026 2.806 6.792
3.885 5.617 2.995
1.045 2.749 2.738
3.866 5.560 7.048
0.165 1.060 2.533
0.020 0.957 7.181
0.446 2.480 4.790
1.589 2.877 0.995
2.141 4.275 3.464
2.302 4.428 6.340
2.610 1.617 3.446
2.770 1.464 6.323
3.322 0.066 8.792
4.465 5.291 4.997
4.891 3.767 2.606
4.747 3.871 7.253
```

Principal peaks in the range 10 to 90 degrees two-theta, sorted by position:
- d 4.876, I = 44.6
- d 3.109, I = 88.1
- d 2.996, I = 100.0
- d 2.811, I = 41.5
- d 2.711, I = 34.8
- d 1.951, I = 37.1

Diffraction record for MnRe2O10. The PXRD pattern is simulated, not measured: it uses a cell relaxed with PBE+U and Cu Kα.
Intensities are scaled so that the largest is 100.

Atomic structure:
```
MnRe2O10
1.0
7.178 -2.899 0.000
7.178 2.899 0.000
-1.916 0.000 5.337
Mn Re O
1 2 10
Cartesian
0.000 0.000 0.000
4.917 0.000 0.780
7.522 0.000 4.556
0.982 0.000 1.689
5.957 1.450 0.811
2.025 0.000 4.694
6.483 1.450 4.525
3.875 0.000 2.160
8.565 0.000 3.177
5.957 -1.450 0.811
10.415 0.000 0.643
6.483 -1.450 4.525
11.458 0.000 3.648
```

Principal peaks in the range 10 to 90 degrees two-theta, sorted by position:
- d 5.334, I = 100.0
- d 5.111, I = 44.5
- d 3.633, I = 33.2
- d 3.557, I = 79.6
- d 3.542, I = 52.4
- d 3.409, I = 84.6

Diffraction record for MnReO4. The PXRD pattern is simulated, not measured: it uses a cell relaxed with PBE+U and Cu Kα.
Intensities are scaled so that the largest is 100.

Atomic structure:
```
MnReO4
1.0
4.838 0.000 0.000
0.268 5.158 0.000
0.043 0.020 5.734
Mn Re O
2 2 8
Cartesian
0.082 1.296 1.006
5.067 3.882 4.728
2.628 3.879 1.907
2.521 1.299 3.827
1.292 2.016 4.986
1.398 4.570 0.752
1.702 4.881 3.457
1.561 2.278 2.274
3.588 2.900 3.460
3.447 0.297 2.277
3.751 0.608 4.982
3.857 3.162 0.748
```

Principal peaks in the range 10 to 90 degrees two-theta, sorted by position:
- d 4.832, I = 69.2
- d 3.835, I = 62.8
- d 3.073, I = 56.4
- d 3.051, I = 54.9
- d 2.949, I = 100.0
- d 2.579, I = 36.0

Diffraction record for MnRe2O8. The PXRD pattern is simulated, not measured: it uses a cell relaxed with PBE+U and Cu Kα.
Intensities are scaled so that the largest is 100.

Atomic structure:
```
MnRe2O8
1.0
5.961 0.000 0.000
-2.980 5.162 0.000
0.000 0.000 6.577
Mn Re O
1 2 8
Cartesian
0.000 0.000 0.000
0.000 3.442 1.811
2.980 1.721 4.767
-1.449 4.255 1.231
0.020 1.780 1.231
0.000 3.442 3.544
1.552 0.873 5.346
1.429 4.290 1.231
2.980 1.721 3.033
2.960 3.382 5.346
4.429 0.908 5.346
```

Principal peaks in the range 10 to 90 degrees two-theta, sorted by position:
- d 4.061, I = 100.0
- d 2.980, I = 32.7
- d 2.774, I = 14.0
- d 2.403, I = 12.0
- d 2.018, I = 11.9
- d 1.871, I = 22.9

Diffraction record for MnRe2O8. The PXRD pattern is simulated, not measured: it uses a cell relaxed with PBE+U and Cu Kα.
Intensities are scaled so that the largest is 100.

Atomic structure:
```
MnRe2O8
1.0
5.943 0.000 0.000
-2.972 5.147 0.000
0.000 0.000 6.774
Mn Re O
1 2 8
Cartesian
0.000 0.000 0.000
0.000 3.431 1.826
2.972 1.716 4.948
-1.463 4.213 1.240
0.055 1.774 1.240
0.000 3.431 3.560
1.563 0.840 5.534
1.408 4.308 1.240
2.972 1.716 3.214
2.917 3.373 5.534
4.435 0.934 5.534
```

Principal peaks in the range 10 to 90 degrees two-theta, sorted by position:
- d 4.098, I = 100.0
- d 2.972, I = 31.4
- d 2.829, I = 14.1
- d 2.406, I = 11.9
- d 2.068, I = 12.8
- d 1.870, I = 22.3

Diffraction record for MnRe2O10. The PXRD pattern is simulated, not measured: it uses a cell relaxed with PBE+U and Cu Kα.
Intensities are scaled so that the largest is 100.

Atomic structure:
```
MnRe2O10
1.0
7.710 -2.915 0.000
7.710 2.915 0.000
-1.844 0.000 5.359
Mn Re O
1 2 10
Cartesian
0.000 0.000 0.000
_Brief_
Quote everything further above unchanged.
_Written answer_
Diffraction record for RbYMnWO6. The PXRD pattern is simulated, not measured: it uses a cell relaxed with PBE+U and Cu Kα.
Intensities are scaled so that the largest is 100.

Atomic structure:
```
RbYMnWO6
1.0
5.430 0.000 0.000
0.000 5.622 0.000
-0.518 0.000 9.787
Rb Y Mn W O
2 2 2 2 12
Cartesian
1.256 0.000 0.120
3.655 2.811 9.667
1.206 0.273 4.904
3.706 3.084 4.883
1.026 2.806 6.792
3.885 5.617 2.995
1.045 2.749 2.738
3.866 5.560 7.048
0.165 1.060 2.533
0.020 0.957 7.181
0.446 2.480 4.790
1.589 2.877 0.995
2.141 4.275 3.464
2.302 4.428 6.340
2.610 1.617 3.446
2.770 1.464 6.323
3.322 0.066 8.792
4.465 5.291 4.997
4.891 3.767 2.606
4.747 3.871 7.253
```

Principal peaks in the range 10 to 90 degrees two-theta, sorted by position:
- d 4.876, I = 44.6
- d 3.109, I = 88.1
- d 2.996, I = 100.0
- d 2.811, I = 41.5
- d 2.711, I = 34.8
- d 1.951, I = 37.1

Diffraction record for MnRe2O10. The PXRD pattern is simulated, not measured: it uses a cell relaxed with PBE+U and Cu Kα.
Intensities are scaled so that the largest is 100.

Atomic structure:
```
MnRe2O10
1.0
7.178 -2.899 0.000
7.178 2.899 0.000
-1.916 0.000 5.337
Mn Re O
1 2 10
Cartesian
0.000 0.000 0.000
4.917 0.000 0.780
7.522 0.000 4.556
0.982 0.000 1.689
5.957 1.450 0.811
2.025 0.000 4.694
6.483 1.450 4.525
3.875 0.000 2.160
8.565 0.000 3.177
5.957 -1.450 0.811
10.415 0.000 0.643
6.483 -1.450 4.525
11.458 0.000 3.648
```

Principal peaks in the range 10 to 90 degrees two-theta, sorted by position:
- d 5.334, I = 100.0
- d 5.111, I = 44.5
- d 3.633, I = 33.2
- d 3.557, I = 79.6
- d 3.542, I = 52.4
- d 3.409, I = 84.6

Diffraction record for MnReO4. The PXRD pattern is simulated, not measured: it uses a cell relaxed with PBE+U and Cu Kα.
Intensities are scaled so that the largest is 100.

Atomic structure:
```
MnReO4
1.0
4.838 0.000 0.000
0.268 5.158 0.000
0.043 0.020 5.734
Mn Re O
2 2 8
Cartesian
0.082 1.296 1.006
5.067 3.882 4.728
2.628 3.879 1.907
2.521 1.299 3.827
1.292 2.016 4.986
1.398 4.570 0.752
1.702 4.881 3.457
1.561 2.278 2.274
3.588 2.900 3.460
3.447 0.297 2.277
3.751 0.608 4.982
3.857 3.162 0.748
```

Principal peaks in the range 10 to 90 degrees two-theta, sorted by position:
- d 4.832, I = 69.2
- d 3.835, I = 62.8
- d 3.073, I = 56.4
- d 3.051, I = 54.9
- d 2.949, I = 100.0
- d 2.579, I = 36.0

Diffraction record for MnRe2O8. The PXRD pattern is simulated, not measured: it uses a cell relaxed with PBE+U and Cu Kα.
Intensities are scaled so that the largest is 100.

Atomic structure:
```
MnRe2O8
1.0
5.961 0.000 0.000
-2.980 5.162 0.000
0.000 0.000 6.577
Mn Re O
1 2 8
Cartesian
0.000 0.000 0.000
0.000 3.442 1.811
2.980 1.721 4.767
-1.449 4.255 1.231
0.020 1.780 1.231
0.000 3.442 3.544
1.552 0.873 5.346
1.429 4.290 1.231
2.980 1.721 3.033
2.960 3.382 5.346
4.429 0.908 5.346
```

Principal peaks in the range 10 to 90 degrees two-theta, sorted by position:
- d 4.061, I = 100.0
- d 2.980, I = 32.7
- d 2.774, I = 14.0
- d 2.403, I = 12.0
- d 2.018, I = 11.9
- d 1.871, I = 22.9

Diffraction record for MnRe2O8. The PXRD pattern is simulated, not measured: it uses a cell relaxed with PBE+U and Cu Kα.
Intensities are scaled so that the largest is 100.

Atomic structure:
```
MnRe2O8
1.0
5.943 0.000 0.000
-2.972 5.147 0.000
0.000 0.000 6.774
Mn Re O
1 2 8
Cartesian
0.000 0.000 0.000
0.000 3.431 1.826
2.972 1.716 4.948
-1.463 4.213 1.240
0.055 1.774 1.240
0.000 3.431 3.560
1.563 0.840 5.534
1.408 4.308 1.240
2.972 1.716 3.214
2.917 3.373 5.534
4.435 0.934 5.534
```

Principal peaks in the range 10 to 90 degrees two-theta, sorted by position:
- d 4.098, I = 100.0
- d 2.972, I = 31.4
- d 2.829, I = 14.1
- d 2.406, I = 11.9
- d 2.068, I = 12.8
- d 1.870, I = 22.3

Diffraction record for MnRe2O10. The PXRD pattern is simulated, not measured: it uses a cell relaxed with PBE+U and Cu Kα.
Intensities are scaled so that the largest is 100.

Atomic structure:
```
MnRe2O10
1.0
7.710 -2.915 0.000
7.710 2.915 0.000
-1.844 0.000 5.359
Mn Re O
1 2 10
Cartesian
0.000 0.000 0.000